“Testing is Not a 9 to 5 Job”: Webinar Q&A – Part 1

Thanks to everyone that attended my webinar with AppliTools called “Testing is Not a 9 to 5 Job”.  In the next week, AppliTools will be sharing with me the questions that were not reviewed during the webinar.  I will plan to answer each of those questions here with another blog update.

Until then, I had promised to provide two things before Monday, March 19th, and I wanted to share them with you below:

Question #1: In the webinar, we discussed crowdsourcing and crowd testing.  Which sites would you suggest to learn more about, and participate in, crowdsourced testing?

Answer #1: I personally have used www.uTest.com for the crowd testing that I have participated in.  Two other popular sites that I have been the most familiar with have been www.99tests.com and www.passbrains.com.   I was researching this weekend and found the following link, which is a very good writeup for their opinion on the top crowd testing sites.  You can find the link here:  The Top 11+ Most Popular Crowdsourced Testing Companies in 2018.  The 11 that were discussed in the article are mentioned below (unsure why uTest is not on this list!):

  • Crowdsourced testing
  • Global App Testing
  • Crowdsprint
  • Bugfinders
  • rainforest
  • Pay4Bugs
  • Testbirds
  • Test IO
  • MyCrowd QA
  • 99tests
  • UncoverBugs
  • Bugcrowd

Question #2: Also, in the webinar, I suggested that even if your company does not have your test team conducting Security Testing, everyone should become familiar with how it works, and some of the tools that are used to conduct security testing.  A question from the webinar was — What sites, articles, and tools would you suggest to read and learn more about Security Testing?

Answer #2: There are many leaders in the security testing realm.  I will add more to this blog as I get more folks involved.   For now, I would like to share with you a blog site from Ken De Souza, who recently did a webinar for Software Test Professionals on security testing and created a quick start list for those wanting to know the basics of security testing.   You can find the following about Ken and his site below:

I will add others that can help with security testing articles and tools.  Please stay tuned for more!

Thanks again to everyone that attended my webinar!  And if you weren’t able to make it, I will be updating everyone when the recording comes out!


My TISQA 2018 Keynote Video

On February 28, 2018, I was honored to be the keynote speaker for the TISQA 2018 Conference in Chapel Hill, North Carolina.

My talk was “Testing is Not a 9 to 5 Job” and I’m happy to share with you the link to the video for all of those that are interested in hearing the keynote.

I hope you enjoy it!



Data records, as found in the file:
~~~
C24H34AsNO8P2PdSi | wB97M-V/def2-TZVPD

CARTESIAN COORDINATES (ANGSTROEM)
H  5.87318  1.69006  1.89750
C  -2.48824  0.48614  0.42871
C  -3.54969  -1.33829  1.77365
C  -1.97764  -3.28375  0.60614
H  -4.16341  -0.56428  2.22666
C  2.24073  1.24388  -2.02669
H  -3.29202  2.91671  -0.32673
O  -1.28557  0.51804  -3.09461
C  -4.62676  0.60738  -0.72137
As  0.12188  -0.39578  3.03761
H  4.52876  -0.10763  -4.14786
C  -2.93961  -3.63485  1.54046
O  -0.81772  -3.82042  -4.59824
C  3.97270  1.41922  0.93971
P  -0.69032  -0.81706  -3.79594
H  1.26534  3.12484  -2.35074
H  1.15607  3.11014  1.67807
H  -1.44044  0.74554  0.27730
H  3.30869  -0.61237  -2.06896
O  -2.76943  -4.26618  -3.07508
H  -4.46196  -2.92754  2.89223
H  0.25606  1.89280  -0.31416
C  2.67207  2.70880  -3.91043
C  3.16324  0.34353  -2.55893
C  3.59601  1.80771  -4.41505
O  -0.72698  -0.78950  -5.27534
H  0.73513  -2.49902  1.79271
Pd  -0.44424  -1.51078  -1.11411
N  -3.20349  0.84563  -0.80280
C  2.62913  1.79093  0.85758
H  -5.10402  1.19681  0.08725
C  -1.77033  -1.94254  0.25220
H  1.10690  -2.68227  3.53570
H  2.64359  -0.12518  2.90461
O  -0.47220  -3.66044  -2.05035
H  -3.07990  -4.68076  1.79254
C  -2.59643  -0.96227  0.82508
Si  1.41900  0.94675  -0.35671
H  -2.24081  0.45903  -2.95073
H  2.67873  4.17266  3.29599
H  4.35271  0.65228  0.27224
O  1.12576  -0.56243  0.07681
C  -0.72370  -0.54040  4.83411
H  2.17992  -0.74632  4.51342
C  3.83926  0.62065  -3.73621
C  4.37609  3.00036  2.70566
H  5.04723  3.45782  3.42415
O  -1.79550  -1.90740  -3.25230
H  -0.88631  0.45580  5.25008
H  1.99789  0.98513  4.11558
H  -4.82547  -0.44609  -0.53914
H  -3.41981  2.50904  -2.05370
H  -0.36301  -3.05074  -4.97315
C  2.00502  2.42409  -2.72595
H  -1.69164  -1.03096  4.72084
O  0.60590  -1.12663  -3.08175
H  -2.85157  1.11152  1.26860
H  -1.85403  2.37805  -1.23282
P  -1.48693  -3.54176  -3.15418
H  -0.57332  -2.82827  2.94669
C  -2.92879  2.23214  -1.11754
C  2.19496  2.79746  1.71782
C  0.37862  -2.32076  2.80572
H  2.45260  3.62288  -4.45154
H  -5.09563  0.88718  -1.66704
C  1.93372  -0.03087  3.72497
C  4.83695  2.00670  1.85137
C  3.05076  3.39985  2.63199
H  -0.10700  -1.12115  5.52443
C  -3.72006  -2.66041  2.14725
H  4.10164  2.01221  -5.35248
H  -1.38226  -4.04469  0.11924

Calculated values
* E: -4927.8390 Eh
* energy relative to the best compared isomer or geometry (same formula, charge and spin): 24.8 kcal per mole
* total charge: -2
* HOMO level: -2.738 eV
* spin multiplicity: 1
* orbital gap: 0.2646 hartree

~~~~~

A 15-piece molecular cluster, C60H104O23 overall at a distorted geometry. Source: OMol25; level of theory: ωB97M-V/def2-TZVPD.

HOMO energy	-9.5414	eV
electronic energy	-4078.99268	a.u.
energy relative to the best compared isomer or geometry (same formula, charge and spin)	0.103	eV
frontier orbital gap	9.5	eV

Atoms and positions in Å:
C1 0.0795 1.0931 -9.5579
C2 -0.5857 1.7244 -8.3442
C3 -1.1008 3.0585 -8.7884
O1 -0.5888 3.2377 -10.0799
C4 0.4757 2.3269 -10.3090
~~~

Take my Testing Survey today!

If you are in software testing – please take my testing survey. It’s very short – just a few questions and mostly multiple choice!

I am compiling responses to this survey to share in an upcoming conference presentation in a few months.

Please share this blog/link with your friends in testing and ask them to take the survey as well.


My “Double Vision” Article Published!

If you work in software testing, I request you inputs on my latest article with the AppliTools blog.  You can find it at the following link below.

Even if you’re not involved in software testing, I think it’s a fun article to read.  Let me know what you think!

AppliTools – Double Vision

Thanks for reading!


Questions for Keynote Panel: I Need Your Inputs!

Calling all software testing and IT professionals.  I need your inputs and questions that I will ask at the next STPCon software testing conference in San Francisco, CA from April 4 to 7, 2016.

I am going to be moderating a keynote panel with three well known names in software testing, and we will be taking questions from this blog, other social networks, and the audience at the conference.

Please take a look at the members of our panel, think of your question(s), and please submit your questions as comments to this blog post.  I appreciate, in advance, any questions you submit, and I promise to try to ask them to our panel when we are live on Thursday, April 7, 2016.

One last note before I introduce you to the panelists.  I hope that you not only submit a question, but you also plan to attend.  You can see all of the conference sessions, workshops, and keynotes at the official site for STPCon at this link:  STPCon Official Site .

Now let’s meet the panelists.  I will give you their biography and then share with you some additional information that I know about each of them:

Panelist #1:  Smita Mishra

Smita Mishra
Smita Mishra

Bio: Smita Mishra is the Founder of PoolWallet – an online expense sharing app and is the CEO and Chief Test Consultant at QAzone Infosystems, which is a software testing organization. She enjoys problem solving.  She supports her customers in identifying the risks their applications are carrying and / or passing on further to their end customers, through carefully crafted skills of product development and software testing. She also engages with different forums to assist growth for women in her field and otherwise too.

Smita will speak to the advances in the testing practice, where we are going with outsourcing and services, the changes for women in testing, and how organizations must realize the need for setting the context for strategic growth.

Additional Information: Smita is a well known testing professional across the globe.  She has a great following.  She has led multiple testing meetups, and recently held a major conference in India, called ThinkTest, where the conference sold out and was overbooked, and included James Bach as the headliner speaker.  She was honored with an invite to be part of an expert panel for a Sheroes conference (Sheroes Website) where she spoke about her new product (PoolWallet – PoolWallet Website), women in technology, and work-life balance.


Panelist #2: Dave Haeffner

Dave Haeffner
Dave Haeffner

Bio: Dave Haeffner is the writer of Elemental Selenium (elementalselenium.com), a free, weekly Selenium tip newsletter read by thousands of testing professionals. Dave is also is the creator and maintainer of ChemistryKit (https://github.com/chemistrykit/chemistrykit) an open-source Selenium framework, and the-internet (https://github.com/tourdedave/the-internet) an open-source web application that’s used to help teach test automation. He’s also the author of The Selenium Guidebook (seleniumguidebook.com) — a concise guide that will teach you how to use Selenium successfully. He’s helped numerous companies implement automated acceptance testing including The Motley Fool, ManTech International, Sittercity, and Animoto. He’s also a founder/co-organizer of the Selenium Hangout (an entirely online Selenium meetup), Selenium Conf (the annual conference put on by the Selenium project), and frequently speaks about automated acceptance testing at conferences and meet-ups around the world.

Dave will speak to the advances in tools used for testing, how we have grown in the testing practice, our constraints and our opportunities, and how testing is complemented by the complex growth in tools to support the testing practice.

Additional Information: Dave has established his name to be synonymous with Selenium for several years now.  His expert trainings and books have changed the way Selenium is used across the globe.  He consistently looks for new ways to leverage the tool and to use automation to increase the success of organizations.

Panelist #3: Damian Synadinos

Damian Synadinos
Damian Synadinos

Bio: Damian Synadinos started testing software—on purpose and for money—in 1993. Since then, he has helped build better software and build software better using various methods and tools in numerous roles at many companies in diverse industries. During the past ten years, Damian has focused primarily on teaching and leading testers and improving processes. Currently, he is the enterprise quality lead of metrics and reporting at a large Midwestern bank, helping to answer questions and tell stories about quality with data. In addition to testing, Damian enjoys improv, golf, poker, gaming, acting, cartooning, and spending time with his family.

Damian will speak to leadership and mentoring of testers in today’s world, how we define measurement and metrics to accurately represent our progress and success, and how to work collaboratively with our stakeholders and partners.

Additional Information: Damian will surprise you with his acting and improvisational experience.  When you hear him talk, its like watching a performance.  He is engaging with the audience, and it is his belief that this is how you engage not only with audiences, but with your team.  He has extensive knowledge in leading teams, and coaching others and his experience with metrics and measurement is extremely exciting to learn.

Thank you so much for your participation and I look forward to seeing your questions for this great team!


My Interview with Test Talks

TestTalksPictureI was given the honor and privilege to receive an interview with Joe Colantonio who has a podcast called “Test Talks”.

This interview was so much fun, and I hope you get the chance to listen to it.

If you’re in software testing, I hope it gives you some fresh new ideas and new ways of looking at things!


You can find the recording at this link:  TestTalks-#88

Thanks to Joe and Sauce Labs for doing this interview!

My Interview with Testing Circus

TestingCircus-Dec2015Through the many years of my career, I have been honored with requests for interviews, articles, and speaking engagements.

In December 2015, I was asked for an interview by Testing Circus.  So many great things have happened throughout my life, and I feel this interview captures not only my work within software testing, but also gives the reader some background on things that have happened to me along the way.  It also gives some insights and suggestions that I have on leadership, interviewing, growing leaders for the future, and many other great topics.

I hope that you get a chance to read it.  You can check it out at the following link:

Testing Circus Magazine – December 2015 – Interview with Mike Lyles


The Best STPCon Ever Is Coming!

Screen Shot 2015-08-13 at 8.26.08 PMIf you love software testing, a great conference awaits you in October!  STPCon is holding our Fall 2015 conference in Boston this year, October 5-8.  (Make sure you see the bottom of this article for a REGISTRATION DISCOUNT CODE before you leave!)

I began speaking with STPCon back in 2012.  I have been privileged to be part of the sessions, workshops, and even a keynote.  Over the past year, I have been fortunate to be part of a community advisory board (CAB) that has reviewed and selected great presentations for the last three events.

A few months ago, I was honored with being named the Director of Strategy for Software Test Professionals (STP).  I will be involved in building out the future events for this conference, as well as non-conference events that are coming very soon!  I have thoroughly enjoyed all of the conferences that I have been part of over the past couple of years, but there is a special place in my heart for STPCon.

If you are a software tester there is something for you at this conference.  We have tracks for hands on testing, test automation, performance testing, mobile testing, and test management.  Each track is packed full with great topics, great speakers, and a commitment to impress the audiences.

Just take a look at some of the great speakers we have with us in October:

  • James Bach will be giving a keynote on Thursday morning.  But..wait!! There’s MORE!!  James has agreed to spend the day with us at STPCon, conducting four  1-hour sessions across multiple topics.
  • If you’re a fan of test automation, you will not want to miss Jason Huggins, the father of selenium, as well as Elfriede Dustin, who both will be providing keynotes on Wednesday.
  • Workshops take place Monday and Tuesday with the following highlights:
    • The popular test automation track returns with multiple presentations throughout the two days from Joseph Ours, Dave Mamanakis, Benjamin Lamb, Geoff Horne, Ahkil Patel, and Doug Hoffman.
    • STPCon brings back premier speakers to the event once again:
      • Smita Mishra delivers two workshops – her tutorial on “Implementing Business Context to Test Heuristics Model”, and “Who’s Your Data” – a new workshop that covers the topic of Big Data, Enterprise Data Warehouse, and the ETL Process
      • Eric Proegler will give us insights on “Interpreting and Reporting Performance Test Results”
      • Andy Grabner gives us his popular “Applications Performance Clinic”
      • Dawn Haynes returns to STPCon to speak on “10 Things Your Stakeholders Need to Know About Testing (but don’t)”
      • Leonidis Hepis brings back his workshop on “Personality Types: Understanding Ourselves, Understanding Others”
    • I will be presenting my latest topic “Visual Testing: It’s Not What You Look At, It’s What you See” as a workshop on Tuesday.
    • We also introduce new STPCon speakers to the workshops: Johanna Rothman, Mary Thorn, Carsten Feilberg, Ilari Henrik, Ben Kelly, and Robin Goldsmith.
  • One-Hour Sessions take place on Wednesday and Thursday.  There are so many great speakers lined up:
    • James Bach, Paul Grizzaffi, Smita Mishra, Damon Synadinos, Mark Tomlinson, Jim Trentadue, Melissa Tondi, Matthew Eakin, Mary Thorn, Andreas Grabner, Doug Hoffman, Michal Stryjak, Carlo Cadet, James Sivak, Wayne Ariola, Joseph Ours, John Ruberto, Manoj Pahuja, Dave Mamanakis, Justin Rohrman, James Pulley, Bradley Baird, Jessica Ingrassellino, Bob Small, Silvia Siquera, Craig Ayres, Terri Chu, Bill Nicholson, Geoff Horne, Anthony Kless, and Alexander Podelko

You must check out each of the presentations and descriptions at: The STPCon Website .

So what are you waiting for?  Have you signed up yet?  Are you ready to come?

Well… let me give you one more incentive…

If you register with my discount code “STPF15LYLES” you get an extra 10%

Early Bird registration ends in August – maximize your savings and we will see you in Boston!

The Joy of Speaking

25 - Agile14

I have been speaking at conferences and events for several years now.  But this past week (Aug 4-6, 2015) was an awesome experience.

I was honored to be invited to speak at two conferences during the same week.  At both of the conferences, I shared my topic “Visual Testing: It’s Not What You Look At, It’s What You See”.  In this topic, we reviewed how that our eyes sometimes see something that our brains do not notice.  Many times these things are right in front of your face, yet you don’t see it.  We talked about how the brain works, and how that testers can improve their skills by noticing their “Inattentional Blindness”.

06 - CAST01I started my week in Grand Rapids, Michigan at the CAST 2015 conference.  After speaking there on Wednesday, August 5, I then jumped on a plane and headed to Washington, DC, where I would then speak at the Agile 2015 conference on Thursday, August 6.

If you’re interested in what I was speaking, you can view the slides on slideshare at the following link:

My Visual Testing Slides – at Slideshare

I hope you get a chance to look at pictures that I took from the conference.  They can be found at my Facebook page below:

My Facebook Page – Conference Pictures

Follow my Facebook page at: Mike Lyles Business Facebook Page

Follow me on Twitter at: Mike Lyles on Twitter